[What to do]
Type out the part of the entries underneath that starts with the line with "-0.2635)" and stops after the one with "0.2313".

[Excerpt]
- - -
Here is 3 unconnected molecules or ions with the total composition C4H14NO2 from the Open Molecules 2025 dataset. Energies are from the ωB97M-V functional and the def2-TZVPD basis.

Each line ends with the Mulliken charge.
Atoms and positions in Å:
C (1.1128, -2.0719, 1.4945)  -0.8894
C (0.7381, -1.9913, -0.0198)  -0.6470
C (-0.3230, -0.8639, -0.0843)  0.3309
C (-1.7395, -1.0627, -0.2635)  -0.8994
N (0.2266, 0.5117, -0.1176)  -0.1441
H (1.3532, -1.0486, 1.9057)  0.2699
H (0.1841, -2.4222, 2.0057)  0.3476
H (2.0607, -2.5702, 1.3796)  0.3233
H (1.6661, -1.7802, -0.5119)  0.3435
H (0.1827, -2.8353, -0.4633)  0.3559
H (-2.0774, -2.0659, -0.1676)  0.3069
H (-2.5470, -0.2533, -0.1992)  0.2461
H (0.4686, 0.6660, -1.1002)  0.4086
H (1.0936, 0.7022, 0.4835)  0.4149
H (-0.4741, 1.1721, 0.1123)  0.2313
H (-2.0012, 3.3172, 1.0484)  0.2954
H (-3.4274, 2.6258, 1.2176)  0.3200
O (-2.5139, 2.5341, 0.9289)  -0.6182
H (2.2854, 2.7502, -1.8955)  0.3078
H (2.0532, 2.3830, -3.3190)  0.3232
O (1.6783, 2.3033, -2.4345)  -0.6270

Calculated values
* HOMO level: -13.742 eV
* net charge: +1
* relative energy (zero: lowest compared OMol25 entry of this formula, charge and spin): 246.2 kJ/mol
* gap between HOMO and LUMO: 0.38583 Ha

----------

1.
{
  "formula": "C16H32BrFGaN2O2S2",
  "method": "ωB97M-V/def2-TZVPD",
  "orbital_gap_ha": 0.2560,
  "homo_energy_ev": -4.3,
  "fmax_ev_per_a": 1.2,
  "charge": -1,
  "elements": ["Br", "Ga", "S", "S", "F", "O", "O", "N", "N", "C", "C", "C", "C", "C", "C", "C", "C", "C", "C", "C", "C", "C", "C", "C", "C", "H", "H", "H", "H", "H", "H", "H", "H", "H", "H", "H", "H", "H", "H", "H", "H", "H", "H", "H", "H", "H", "H", "H", "H", "H", "H", "H", "H", "H", "H", "H", "H"],
  "coordinates": [[1.70, 4.18, -2.24], [1.11, 1.86, 0.00], [2.59, -0.81, -1.23], [-3.35, 2.15, 0.66], [1.41, 3.62, 2.40], [-5.85, 1.34, 0.57], [-1.30, -2.76, -0.98], [-6.07, 0.31, -1.38], [-4.76, 0.76, -1.27], [2.45, 3.28, -0.64], [4.98, 3.62, -0.53], [2.06, 2.43, 2.79], [-4.68, 1.36, -0.12], [-2.67, -2.11, 0.96], [-1.87, -5.15, -0.80], [2.83, -3.17, 0.05], [1.17, 0.33, -1.34], [1.77, 1.27, 1.87], [-6.66, 0.68, -0.29], [-0.92, -4.02, -0.46], [-2.56, -2.27, -0.55], [-1.89, 1.76, -0.36], [3.83, 2.71, -0.96], [-0.77, 2.65, 0.18], [2.37, -1.74, 0.29], [3.12, 2.65, 2.81], [-7.69, 0.50, -0.03], [-3.37, -2.90, -0.93], [4.91, 3.88, 0.52], [-2.13, 2.01, -1.39], [2.56, 4.08, 0.09], [-2.87, -5.00, -0.38], [2.27, -3.61, -0.78], [-0.82, 3.61, -0.34], [5.93, 3.09, -0.66], [3.91, 2.50, -2.02], [-2.59, -3.07, 1.47], [3.88, -3.18, -0.21], [0.26, -0.27, -1.37], [-2.67, -1.30, -1.03], [1.01, 0.64, 2.33], [-1.49, -6.09, -0.40], [3.94, 1.77, -0.41], [1.35, -1.71, 0.67], [-0.78, -3.94, 0.63], [1.28, 0.77, -2.33], [5.04, 4.53, -1.13], [1.73, 2.25, 3.81], [-1.89, -1.45, 1.34], [-1.66, 0.70, -0.32], [2.68, 0.70, 1.73], [0.06, -4.22, -0.88], [2.68, -3.79, 0.93], [-3.65, -1.69, 1.21], [-0.95, 2.86, 1.23], [-1.97, -5.25, -1.88], [3.00, -1.32, 1.08]]
}


2.
{
  "formula": "C16H32Cl16F6MgN3O12S6",
  "method": "ωB97M-V/def2-TZVPD",
  "orbital_gap_ha": 0.3432,
  "homo_energy_ev": -8.0,
  "fmax_ev_per_a": 8.2,
  "e_above_lowest_kcal_mol": 12.9,
  "charge": -1,
  "elements": ["Cl", "Cl", "Cl", "Cl", "Cl", "Cl", "Cl", "Cl", "Cl", "Cl", "Cl", "Cl", "Cl", "Cl", "Cl", "Cl", "S", "S", "S", "S", "S", "S", "Mg", "F", "F", "F", "F", "F", "F", "O", "O", "O", "O", "O", "O", "O", "O", "O", "O", "O", "O", "N", "N", "N", "C", "C", "C", "C", "C", "C", "C", "C", "C", "C", "C", "C", "C", "C", "C", "C", "H", "H", "H", "H", "H", "H", "H", "H", "H", "H", "H", "H", "H", "H", "H", "H", "H", "H", "H", "H", "H", "H", "H", "H", "H", "H", "H", "H", "H", "H", "H", "H"],
- - -

[Outcome]
C (-1.7395, -1.0627, -0.2635)  -0.8994
N (0.2266, 0.5117, -0.1176)  -0.1441
H (1.3532, -1.0486, 1.9057)  0.2699
H (0.1841, -2.4222, 2.0057)  0.3476
H (2.0607, -2.5702, 1.3796)  0.3233
H (1.6661, -1.7802, -0.5119)  0.3435
H (0.1827, -2.8353, -0.4633)  0.3559
H (-2.0774, -2.0659, -0.1676)  0.3069
H (-2.5470, -0.2533, -0.1992)  0.2461
H (0.4686, 0.6660, -1.1002)  0.4086
H (1.0936, 0.7022, 0.4835)  0.4149
H (-0.4741, 1.1721, 0.1123)  0.2313